When I arrived at the studio on Monday, I whipped out my class card and was totally shocked to see that my card was full and I would be using my free class!
____________
Entry from Materials Project: a geometry-optimized PdSe2 structure (r²SCAN).

The value obtained for the energy is -1.2837 Ry per atom. The calculation puts the formation enthalpy at 0 K at -271 meV per atom. The symmetry is P2_1/c.

```
PdSe2
1.0
5.689 0.000 0.000
0.000 5.865 -0.015
0.000 0.001 20.095
Se Pd
4 2
Direct
0.109 0.881 0.037
0.391 0.381 0.037
0.609 0.619 0.963
0.891 0.119 0.963
0.000 0.500 0.000
0.500 0.000 0.000
```

=====

Entry from Materials Project: a geometry-optimized SrCu2O3 structure (r²SCAN).

The value obtained for the energy is -0.7829 Ry per atom. The calculation puts the formation enthalpy at 0 K at -1526 meV per atom. The symmetry is Pmmn.

```
SrCu2O3
1.0
-0.342 -2.699 -2.225
3.252 -1.642 1.491
-6.364 -5.578 7.742
Sr Cu O
2 4 6
Direct
0.510 0.000 0.000
0.490 0.500 0.500
0.992 0.000 0.335
0.008 0.500 0.165
0.992 0.000 0.665
0.008 0.500 0.835
0.993 0.500 0.670
0.007 0.000 0.170
0.985 0.000 0.500
0.993 0.500 0.330
0.015 0.500 0.000
0.007 0.000 0.830
```

=====

Entry from Materials Project: a geometry-optimized PuI2 structure (r²SCAN).

The value obtained for the energy is -3.4203 Ry per atom. The calculation puts the formation enthalpy at 0 K at -1378 meV per atom. The symmetry is P4_2/mnm.

```
PuI2
1.0
7.887 0.000 0.000
0.000 7.887 0.000
0.000 0.000 4.232
I Pu
4 2
Direct
0.788 0.788 0.000
0.212 0.212 0.000
0.712 0.288 0.500
0.288 0.712 0.500
0.500 0.500 0.000
0.000 0.000 0.500
```

----------

A plane-wave DFT calculation with PBE was carried out for a relaxed structure of Nb3P.

```
data_Nb3P
_chemical_formula_sum 'Nb24 P8'
_cell_length_a 10.202
_cell_length_b 10.202
_cell_length_c 5.121
_cell_angle_alpha 90.00
_cell_angle_beta 90.00
_cell_angle_gamma 90.00
_symmetry_space_group_name_H-M 'P 1'
_symmetry_Int_Tables_number 1
_symmetry_space_group_name_Hall 'P 1'
loop_
_atom_site_label
_atom_site_type_symbol
_atom_site_fract_x
_atom_site_fract_y
_atom_site_fract_z
_atom_site_occupancy
Nb1 Nb 0.414 0.097 0.976 1
Nb2 Nb 0.213 0.691 0.510 1
Nb3 Nb 0.145 0.013 0.735 1
Nb4 Nb 0.513 0.355 0.235 1
Nb5 Nb 0.355 0.487 0.765 1
P1 P 0.024 0.793 0.769 1
Nb6 Nb 0.097 0.586 0.024 1
P2 P 0.476 0.707 0.731 1
Nb7 Nb 0.691 0.787 0.490 1
P3 P 0.207 0.024 0.231 1
Nb8 Nb 0.403 0.914 0.476 1
Nb9 Nb 0.914 0.597 0.524 1
Nb10 Nb 0.903 0.414 0.024 1
Nb11 Nb 0.013 0.855 0.265 1
P4 P 0.976 0.207 0.769 1
Nb12 Nb 0.586 0.903 0.976 1
Nb13 Nb 0.645 0.513 0.765 1
Nb14 Nb 0.487 0.645 0.235 1
P5 P 0.707 0.524 0.269 1
P6 P 0.793 0.976 0.231 1
P7 P 0.524 0.293 0.731 1
Nb15 Nb 0.855 0.987 0.735 1
Nb16 Nb 0.787 0.309 0.510 1
Nb17 Nb 0.713 0.191 0.990 1
Nb18 Nb 0.809 0.713 0.010 1
Nb19 Nb 0.597 0.086 0.476 1
Nb20 Nb 0.309 0.213 0.490 1
Nb21 Nb 0.287 0.809 0.990 1
Nb22 Nb 0.987 0.145 0.265 1
Nb23 Nb 0.191 0.287 0.010 1
P8 P 0.293 0.476 0.269 1
Nb24 Nb 0.086 0.403 0.524 1
```

Results
formation energy from the elements	-61	kJ per mole of atoms
total energy	-306.12	eV/cell

----------

1.
____________
The class cards are buy ten, get one free, but it was actually my 13th class since starting ballet again. There was a free class day and then I paid for a single class before purchasing the class card. Lucky number 13!
I continue to love Monday classes in a different, yet complementary, way than Wednesday classes. They are actually very similar in structure and difficulty. Sometimes I forget which one is supposed to be the “intermediate” one (it’s Monday!). Taylor mentioned that the Saturday class she teaches is “intermediate” level and explained that it’s the same as her Wednesday class, but the only difference is she’ll involve the inside leg in combinations at the barre. Ha! I hope to go on Saturdays next year when I buy my unlimited class card.
We did frappés and fondues en relevé (after rounds of doing them on flat) and then Calla had us do a bunch of plié-relevés at the barre in parallel and then first, and then she incorporated some into centerwork as well. My calves were almost too burnt out to do a decent pirouette after that. But I loved it—it’s like Calla is feeding right into one of my main goals! And the emphasis on calf and ankle strength comes at a good time when I’m feeling a bit stronger and can start to push myself more without burning out completely.
It was another small class, which meant a lot of exercises done in one group, which again meant an accidental cardio work out. For some reason it was fairly toasty in the studio and I actually dripped sweat onto the floor of my place at the barre. I usually sweat a lot in class, but it’s rare for it to physically drip off my body like so much rainwater.
I was coming off a stressful weekend caring for one of our cats, so maybe it’s not surprising that at one point, I said “pas de chat” when I meant “pas de bourée” when clarifying a combination with Calla (at first we were going to do a pas de bourée, but then she changed the steps). Ugh. I knew something sounded wrong but kept repeating myself. My question was, “So there’s no pas de bourée?” but I kept saying, “So there’s no pas de chat? No pas de chat??”
Technically there was no pas de chat either.
The next day, Tuesday, I decided to go to class again! Because of the aforementioned sick cat, we ended up staying in on “Halloween Saturday” instead of going to a costume bar crawl as planned. So on the off chance we decide to use our costumes and go out on actual Halloween (and thus I would skip Wednesday’s ballet class), I wanted to get a second class in for the week. I found a class that fit my schedule at a different studio. I had been to one class at this studio before but hadn’t been super enthused about it. The studio is technically closer to my house, but traffic is always backed up on the way there. It’s less than 2 miles away but takes 15 minutes to drive there. Crazy.
Anyway, I went and it was okay. I don’t know what it is about that place; it just doesn’t feel right. I arrived and it looked like I was going to be the only one there, which honestly is always my worst nightmare. Luckily two other women showed up. The teacher was very young–like maybe an actual teenager. But she was good! I don’t know. This was another class labeled “beginning ballet” that was really not. I think that was what went wrong with my enjoyment of the class: I had hyped myself up for a slow, back-to-basics class. This sounded nice since I was tired from work and sore from all the relevés on Monday. So when barre started and the combinations were somewhat complicated, I had to pivot my mental stance and summon my “dance brain” on short notice.

One of the women there was less experienced and requested that I move in front of her at the barre so she could follow me. That was kind of nice! It’s nice when you feel like you are totally floundering around to get a reminder that you have actually learned something at some point.
Barre actually went pretty well, after I realized I was going to have to use my brain. We got to center and everything kind of fell apart. The less experienced woman left, so it was just me and one other dancer. After class, I overheard her talking to the teacher, and it turns out she danced in college and then joined a company! She left ballet for a few years and was coming back. When I heard that I was like, well DUH I felt like a dang buffoon next to her!
I have this sort of hangup sometimes that I’m not sure is my paranoid anxiety speaking or if it’s ever true. But so many times in ballet classes, I can hang in there for a full, tough barre, holding my own with the best of them, more or less. And then in center and diagonal exercises, like I said, it all falls apart. Center work reveals all those weird blind spots and gaps in my training and technique that are a result of the hodgepodge way I learned ballet. It’s not often there is a barre exercise I haven’t seen before at this point, but then in every other class there will be a portion of grande allegro or a turning combination where I’m like uhhh what is that? What was that weird little hop? Sometimes I can stop and ask for a breakdown but sometimes I’d rather just get on with class and do my best.
I think my struggles after barre are partly because it’s pretty common to eat up class time with a long barre and then skimp out on center work, especially in adult beginning ballet classes. So I’ve been exposed to a much greater quantity of barre than I have to center work of any kind, over my dancing lifetime.
Another really good way to learn all kinds of random steps outside of barre exercises is in performances. I’ve been fortunate enough to have been in three as an adult dancer (two were in college), and anything you do in a performance is pretty much with you for life I think, because of how many times you run through it before the performance. I finally nailed a turning waltz, my former nemesis, because there was one in my last adult ballet recital. But performance opportunities are few and far between for adult students! Which sucks! I basically hate performing (stage fright) but I would do it again in a heartbeat because you just learn so much, you get to experience amazing camaraderie and the overall experience (besides the two terrifying minutes on stage) is so much fun.
The paranoid part that I mentioned is this needling thought I have after class sometimes where I imagine I detect disappointment from the teacher, after I do a nice barre and then basically flail for the entire second half of class. I get this sense of them thinking, “…Oh.” and I swear sometimes they will fall silent/suddenly ignore me after giving me a bunch of great corrections during barre. Like, “Oh, nevermind. She cannot be helped.”
I brush it off and I keep going to class but sometimes that’s how I feel. Like an unmet expectation, like a bombed audition.
Obviously that is not a great feeling, but somehow I don’t really mind it haha. It really lights a fire under me. I want to feel throughout the entire class the way I feel at barre. At barre I make a mistake and I know exactly what mistake I made and why I made it. I missed those three quick single frappés to the side because my muscle memory kept making me want to do doubles instead. I used the wrong leg because I was thinking too hard about my arms and zoned out on the actual step. But it’s a different story going across the floor, when it’s not that I can’t remember the step, it’s that I don’t know what it is or how to do it. That’s what causes the flailing. The only solution is to keep dancing. Exposure combined with practice. I’m going to try to ask more often for breakdowns for unfamiliar steps that pop up–but getting a breakdown is just the start. You have to get that step into your muscle memory, and that takes a lot of time and effort (like doing a turning waltz 10 times a class every week for two months to prepare for a performance!).
Despite all of the above downtrodden inner monologues about how I suck, I did manage to generally enjoy the class–especially since the studio was huuuge. Or maybe my “home” studio is just super small. At my regular studio we are always in the corner doing steps in place trying to get in one more pirouette with our nose to the wall. Even as I was missing steps and off the music, I loved being able to let loose and try to jump as far/high as possible.
Also, at one point the teacher asked if we were familiar with 8-8, 4-4, 2-2, 1-1-1-1 (this is a common dégagé combination where you will face the bar and do the step eight times with the right leg, eight times with the left, then four times to the right, four times to the left, and so on, ending with one to each side four times). The one of us with less experience was not familiar and said, “Sorry what? What was that?” and once she understood, she said, “I didn’t know what you were saying! I thought maybe it was your phone number!” Then we were all laughing.
Call me! 884-422-1111
Has anyone watched Maniac on Netflix? “What’s that thing they say in dance? Those dance numbers?” “5, 6, 7, 8?” “That’s it!” #dancenumbers